_Data_
# Pm4Al2TlZn
Simulated powder diffractogram, Cu Kα, 1.54184 Å. Input: a structure optimized by DFT (PBE).
Kinematic intensities with the Lorentz-polarization factor, no thermal factor.

Principal peaks in the range 10 to 90 degrees two-theta, most intense first:
Position (°2θ)	I (rel.)
33.83	100.0
60.52	36.2
48.60	17.8
81.17	15.1
20.53	12.9
71.17	11.0
23.75	10.1
39.90	7.4

Structural model:
a = 9.175 Å, b = 9.175 Å, c = 9.175 Å
α = 33.58°, β = 33.58°, γ = 33.58°
Fractional coordinates of all 8 atoms:

_Assignment_
Transcribe only the last part of the calculation results further above, starting with the line that has "48.60".

_Outcome_
48.60	17.8
81.17	15.1
20.53	12.9
71.17	11.0
23.75	10.1
39.90	7.4

Structural model:
a = 9.175 Å, b = 9.175 Å, c = 9.175 Å
α = 33.58°, β = 33.58°, γ = 33.58°
Fractional coordinates of all 8 atoms: